Bovine respiratory disease (BRD), also known as shipping fever, is one of the most prevalent and economically significant diseases within the beef cattle industry. Treatment rates of cattle in feedlots for respiratory disease is more than all other diseases combined, with recent years realizing a marked increase in the disease.

Many feedlot operators report 67 percent to 82 percent of their cattle suffer from respiratory disease. BRD increases costs associated with prevention, treatment and mortalities as well as additional losses due to decreases in carcass weight, daily gain, yield grade and carcass fat.

There are management strategies to reduce BRD; vaccinations, low-stress handling and treatment have been used traditionally and have been shown to reduce the incidence of the disease. The genetic susceptibility to the disease has recently gained attention in an effort to reduce incidence of BRD in feedlot cattle. There is scientific evidence of breed differences in BRD mortality and morbidity.

More recently, some studies have suggested that BRD prevalence in unweaned calves and feedlot cattle is influenced by the genetic makeup of the animal.

Management strategies have been implemented industry-wide with minimal success at disease reduction. BRD continues to be an issue in the beef and dairy industries, making genetics a viable option for reducing the disease in cattle.


Health traits and BRD
The U.S. consumer views animal health to be synonymous with animal welfare. The mere mention of a sick animal conjures up a negative perception in the non-ag public that often associates all of agriculture with “factory farming.”

The beef industry must continue to combat the negative implications of management practices, and animal health should be at the top of every producer’s list of priorities.

Health traits, as related specifically to “disease” and genetic implications, fall into three general categories. The first group is the diseases that are consequences of a defect in the individual’s genetic composition.

The second class contains those diseases associated with non-transmittable environmental challenges such as high-altitude (brisket) disease. The final class represents those diseases related to some specific disease vector or pathogen, whether bacterial, viral or parasitic in nature.

BRD is part of the pathogen category where development of tools for selection is under way through both public and private research-funding groups, including USDA-NIFA and Zoetis.

There are some challenges with this type of research. Some traits such as growth (e.g., birthweight, weaning weight, etc.) and carcass outcomes (e.g., carcass weight, marbling score, etc.) are simple and easy to measure, while BRD and associated implications are difficult to accurately quantify.

Data collected in the field is problematic due to appropriate diagnosis, assumption of equal exposure to the disease-causing agents and measurement of disease severity. This “environmental noise” in field data may partially mask genetic differences in animals treated for BRD versus non-treated animals, making research difficult.

Yet the potential returns of a possible genetic influence of the disease justify further study. Field studies on BRD are likely underestimating the true importance of genetics in BRD incidence and undervalue the potential for breeding decisions to impact disease resistance. The opportunity to examine new approaches using genomic and molecular data is a logical next step to address the health of beef and dairy cattle.

Animals that can be identified that are less susceptible to disease will contribute to sustainability goals, improving health and productivity. The dairy industry has begun selection programs to identify the genetic variability in mastitis resistance. BRD resistance is a clear goal for selective breeding programs similar to mastitis. The ability for DNA testing is becoming more comprehensive and includes a greater number of traits.

It is probable that DNA testing will provide a selection tool for traits with no other information available or with no selection criteria existing at this moment, traits such as feed efficiency and disease resistance.

Research using simulation and terminal sire selection index suggest there would be considerable value associated with the successful development of a DNA test to enable selection for BRD resistance.

To incentivize the inclusion of BRD resistance in selection decisions, a mechanism analogous to a calf-preconditioning bonus could be used to equitably share some of the value derived from reduced feedlot disease incidence and to compensate breeders and producers for reduced selection emphasis on other economically relevant traits.

_Attached: calculated crystals_
┌──
# 1
The following is a DFT calculation (r2SCAN) of an optimized crystal structure of Mn6HO12.

POSCAR file:
```
Mn6HO12
1.0
4.560 -2.884 0.000
4.560 2.884 0.000
-0.664 0.000 13.631
Mn H O
12 2 24
Cartesian
4.204 2.163 2.523
1.931 0.729 4.689
4.228 2.195 6.815
3.802 0.719 9.390
1.599 -0.729 11.505
4.555 0.755 0.002
4.134 -0.719 2.575
6.464 0.713 4.668
4.223 -0.755 6.817
3.872 -2.163 9.338
6.132 -0.713 11.483
4.560 -2.195 0.000
6.055 0.697 8.015
6.387 -0.697 1.199
3.063 2.176 8.340
3.001 2.165 12.816
0.774 0.712 12.412
2.401 0.719 10.577
4.721 2.152 10.203
5.364 2.162 0.999
3.391 0.732 1.533
1.106 -0.712 5.597
3.372 0.721 5.999
2.733 -0.719 3.762
5.032 0.711 3.374
5.090 0.717 7.854
3.059 -0.732 8.348
5.330 0.733 12.419
3.040 -0.721 12.814
4.700 -0.711 10.189
6.974 0.722 10.572
5.421 -0.717 1.038
3.395 -2.176 1.525
3.333 -2.165 6.001
5.662 -0.733 5.603
5.052 -2.152 3.387
7.306 -0.722 3.757
5.032 -2.162 7.814
```

Its space group is Cc, No. 9. For the formation energy from the elements, the calculation gives -37.30 eV/f.u.

# 2
The following is a DFT calculation (r2SCAN) of an optimized crystal structure of Sc7CoI12.

POSCAR file:
```
Sc7CoI12
1.0
7.525 4.344 3.453
-7.525 4.344 3.453
0.000 -8.689 3.453
Sc Co I
7 1 12
Cartesian
0.000 0.000 0.000
-1.933 -0.545 3.824
1.439 -1.402 3.824
0.495 1.947 3.824
-0.495 -1.947 6.534
-1.439 1.402 6.534
1.933 0.545 6.534
0.000 0.000 5.179
-0.559 -2.278 1.712
-1.694 1.623 1.712
-2.911 -2.994 5.119
-4.049 1.024 5.239
2.253 0.655 1.712
1.138 -4.018 5.239
-1.138 4.018 5.119
-2.253 -0.655 8.645
4.049 -1.024 5.119
2.911 2.994 5.239
1.694 -1.623 8.645
0.559 2.278 8.645
```

Its space group is R-3, No. 148. For the formation energy from the elements, the calculation gives -25.16 eV/f.u.

# 3
The following is a DFT calculation (r2SCAN) of an optimized crystal structure of Li2CeAs2.

POSCAR file:
```
Li2CeAs2
1.0
4.263 0.000 0.000
-2.131 3.692 0.000
0.000 0.000 6.830
Li Ce As
2 1 2
Cartesian
0.000 2.461 0.843
2.131 1.231 5.987
0.000 0.000 3.415
0.000 2.461 5.002
2.131 1.231 1.828
```

Its space group is P-3m1, No. 164. For the formation energy from the elements, the calculation gives -5.80 eV/f.u.

# 4
The following is a DFT calculation (r2SCAN) of an optimized crystal structure of As2Se3.

POSCAR file:
```
As2Se3
1.0
7.057 -1.869 0.000
7.057 1.869 0.000
-0.600 0.000 9.664
As Se
4 6
Cartesian
1.419 0.000 4.155
3.622 0.000 8.336
9.893 0.000 1.328
12.096 0.000 5.509
1.328 0.000 9.372
3.625 0.000 3.190
6.086 0.000 6.831
7.429 0.000 2.833
9.890 0.000 6.474
12.186 0.000 0.292
```

Its space group is C2/m, No. 12. For the formation energy from the elements, the calculation gives -0.56 eV/f.u.
└──

An interdisciplinary team of veterinarians with BRD complex experience in both dairy and beef cattle, geneticists (with specialties in animal health, disease, immunology, epigenetics and quantitative genetics), epidemiologists, animal behaviorists, microbiologists, livestock economists, and veterinary and livestock cooperative extension specialists developed a successful five-year USDA grant proposal entitled “Integrated Program for Reducing Bovine Respiratory Disease Complex (BRDC) in Beef and Dairy Cattle.”

The goal of this program is to reduce the incidence of BRD in beef and dairy cattle by capitalizing on recent advances in genomics to enable novel genetic approaches to select for cattle less susceptible to disease.

This effort, known as the BRD CAP (Coordinated Agricultural Project), involves a multi-institutional team led by Dr. James Womack at Texas A&M University and involves research groups from Washington State University, University of Missouri, Colorado State University, New Mexico State University and University of California – Davis.

The BRD CAP research plan includes experiments designed to identify loci associated with BRD resistance in beef and dairy cattle.

A preliminary research project in the central valley of California, with the objective of identify host loci associated with susceptibility to BRD in Holstein calves between day 10 and weaning (day 63), led by Dr. Terry Lehenbauer, DVM, associate professor and director, Veterinary Medicine Teaching and Research Center in Tulare, show a strong and moderated association of 155 single nucleotide polymorphisms (SNPs) and BRD.

Misplaced calculated crystals:
┌──
# 1
Material: U5Pb2O22
Method: DFT, GGA-PBE
State: optimized geometry

Results
- DFT formation energy (eV/f.u.) = -71.51
- total energy after the MP2020 corrections (eV per atom) = -8.422
- total magnetization (μB/atom) = 0.207

abc: 6.838 11.534 14.936
angles: 58.18 90.00 90.00
Fractional coordinates of all 58 atoms:
O 0.963 0.840 0.719
O 0.895 0.808 0.122
O 0.985 0.593 0.337
O 0.537 0.840 0.219
O 0.578 0.774 0.998
O 0.979 0.923 0.908
O 0.521 0.923 0.408
O 0.602 0.762 0.849
O 0.165 0.405 0.285
O 0.787 0.327 0.327
O 0.973 0.606 0.077
O 0.336 0.655 0.408
O 0.835 0.595 0.715
O 0.690 0.029 0.987
O 0.898 0.762 0.349
O 0.213 0.673 0.673
O 0.810 0.029 0.487
O 0.836 0.345 0.092
O 0.485 0.407 0.163
O 0.335 0.405 0.785
O 0.473 0.394 0.423
O 0.015 0.407 0.663
O 0.190 0.971 0.513
O 0.398 0.238 0.151
O 0.605 0.808 0.622
O 0.310 0.971 0.013
O 0.395 0.192 0.378
O 0.287 0.673 0.173
O 0.515 0.593 0.837
O 0.021 0.077 0.092
O 0.479 0.077 0.592
O 0.664 0.345 0.592
O 0.463 0.160 0.781
O 0.665 0.595 0.215
O 0.422 0.226 0.002
O 0.713 0.327 0.827
O 0.922 0.774 0.498
O 0.102 0.238 0.651
O 0.527 0.606 0.577
O 0.078 0.226 0.502
O 0.027 0.394 0.923
O 0.037 0.160 0.281
O 0.105 0.192 0.878
O 0.164 0.655 0.908
U 0.993 0.595 0.210
U 0.965 0.807 0.607
U 0.507 0.595 0.710
U 0.000 0.000 0.000
U 0.465 0.193 0.893
U 0.500 0.000 0.500
U 0.493 0.405 0.290
U 0.535 0.807 0.107
U 0.035 0.193 0.393
U 0.007 0.405 0.790
Pb 0.897 0.746 0.901
Pb 0.397 0.254 0.599
Pb 0.603 0.746 0.401
Pb 0.103 0.254 0.099

=====

# 2
Material: UPb3O6
Method: DFT, GGA-PBE
State: optimized geometry

Results
- DFT formation energy (eV/f.u.) = -23.95
- total energy after the MP2020 corrections (eV per atom) = -7.606
- total magnetization (μB/atom) = 0.000

abc: 8.328 12.560 13.902
angles: 90.00 90.00 90.00
Fractional coordinates of all 80 atoms:
Pb 0.750 0.015 0.504
Pb 0.750 0.269 0.352
Pb 0.968 0.505 0.768
Pb 0.750 0.738 0.183
Pb 0.750 0.231 0.852
Pb 0.250 0.731 0.648
Pb 0.032 0.495 0.232
Pb 0.250 0.238 0.317
Pb 0.250 0.262 0.817
Pb 0.750 0.485 0.004
Pb 0.468 0.495 0.232
Pb 0.532 0.505 0.768
Pb 0.750 0.529 0.533
Pb 0.750 0.971 0.033
Pb 0.032 0.005 0.732
Pb 0.968 0.995 0.268
Pb 0.532 0.995 0.268
Pb 0.250 0.471 0.467
Pb 0.468 0.005 0.732
Pb 0.250 0.985 0.496
Pb 0.250 0.515 0.996
Pb 0.250 0.769 0.148
Pb 0.750 0.762 0.683
Pb 0.250 0.029 0.967
O 0.450 0.401 0.068
O 0.250 0.775 0.461
O 0.250 0.084 0.799
O 0.448 0.582 0.392
O 0.250 0.208 0.129
O 0.442 0.206 0.948
O 0.750 0.275 0.039
O 0.538 0.274 0.229
O 0.250 0.915 0.653
O 0.948 0.082 0.108
O 0.058 0.206 0.948
O 0.948 0.418 0.608
O 0.450 0.099 0.568
O 0.050 0.099 0.568
O 0.750 0.792 0.871
O 0.942 0.706 0.552
O 0.462 0.726 0.771
O 0.250 0.292 0.629
O 0.552 0.418 0.608
O 0.038 0.774 0.271
O 0.750 0.584 0.701
O 0.750 0.708 0.371
O 0.558 0.706 0.552
O 0.538 0.226 0.729
O 0.750 0.415 0.847
O 0.058 0.294 0.448
O 0.250 0.725 0.961
O 0.052 0.582 0.392
O 0.552 0.082 0.108
O 0.950 0.599 0.932
O 0.558 0.794 0.052
O 0.250 0.416 0.299
O 0.052 0.918 0.892
O 0.750 0.916 0.201
└──

If BRD resistance is a quantitative trait influenced by many genes, as is expected for this complex trait, a large dataset of case and control animals will be needed to detect all of the large and small effects loci (specific location on the chromosome) on the genome.

Obtaining markers of disease-resistance loci relies on the association between DNA markers and the causative loci. But a marker associated with a trait in one breed is often found not to be associated in the same way in another breed.

This is due to the relatively sparse spacing of markers; this means that they may be located “far” from the causative gene, and the relationship between the DNA marker and the variant of the gene causing different genotypes, and therefore different phenotypes, may change from one breed to another.

On the positive side, the new-generation technology on high-density SNP arrays will provide adequate coverage of the bovine genome to find the right location on the genome associated with disease susceptibility. It is also expected that these technology will enable the development of tests that could work across multiple breeds.

Constructing a large dataset with multiple breeds for disease phenotypes could, as a group, increase the accuracy of tests for all breeds more than any single breed database due to the large number of records.

Reducing the considerable animal morbidity, mortality and economic losses associated with BRD will require the simultaneous development of DNA tests to enable the selection of resistant animals and the incorporation of this trait into breeding objectives of relevance to U.S. beef production systems.

Another project, funded by Zoetis in cooperation with Colorado State University and JBS Five River’s Cattle Feeding, supports the premise that there are genetic differences among animals that contribute to BRD treatment. The project was conducted over two years, with 1,551 steers fed in year one and 1,319 fed in year two of the study.

Animals exhibiting clinical signs of BRD as determined by commercial feedlot personnel were treated following feedlot protocols and classed as positive for BRD. Sires of calves were identified with DNA markers, and that parentage information was subsequently used to estimate heritability.

BRD treatment rates were 45 percent and 7.1 percent in year one and two, respectively, illustrating the difficulties associated with collection of field data given variable rates in incidence across contemporary groups.

Even with the contemporary group differences present in the study, the probability that animals were treated for BRD was 17 percent heritable based on BRD treatment records in that population and the probability that an individual was treated for any health-related problem was 24 percent heritable.

“Any” treatment would include treatments for foot rot, pinkeye, bloat, etc. To put these values in perspective, the heritability of heifer pregnancy is often in this range, as is the heritability of milk production in a number of beef cattle breeds. While not high, both would indicate that there is genetic variability associated with pathogen-associated disease traits, in this particular case, BRD.

Health traits may be complex and complicated in their genetics, but due to the economic relevance, animal well-being and genetic variability among individuals, these traits have potential to decrease the costs for morbidity and mortality on the beef and dairy industry, and therefore increase production.

The leading cause of illness and death in feedlot cattle in the U.S. is BRD. Because some animals are more resistant than others, integrated health traits related to BRD susceptibility or resistance in breeding programs is a positive control approach, but it is important to consider all other economically relevant traits on the genetic evaluation.

Due to new technologies in genomics and molecular biology, new tools to develop DNA tests for BRD will be possible for multiple breeds. This emerging technology has the potential to identify breeding animals with genetic resistance, which would significantly decrease treatment and subsequent production.  end mark

Crystalline La5Ga4SnSb10 at its relaxed geometry, computed with PBE-GGA.

CIF file:
```
data_La5Ga4SnSb10
_symmetry_space_group_name_H-M 'P 1'
_symmetry_Int_Tables_number 1
_cell_length_a 4.468
_cell_length_b 11.781
_cell_length_c 22.261
_cell_angle_alpha 100.91
_cell_angle_beta 90.05
_cell_angle_gamma 90.14
loop_
_symmetry_equiv_pos_as_xyz
'x,y,z'
loop_
_atom_site_label
_atom_site_type_symbol
_atom_site_fract_x
_atom_site_fract_y
_atom_site_fract_z
_atom_site_occupancy
La1 La 0.000 0.000 0.000 1
La2 La 0.000 0.005 0.800 1
La3 La 0.496 0.443 0.744 1
La4 La 0.496 0.448 0.945 1
La5 La 0.498 0.448 0.144 1
La6 La 0.499 0.442 0.541 1
La7 La 0.500 0.446 0.342 1
La8 La 0.996 0.000 0.397 1
La9 La 0.997 0.005 0.598 1
La10 La 0.999 0.999 0.199 1
Ga1 Ga 0.248 0.723 0.202 1
Ga2 Ga 0.248 0.723 0.399 1
Ga3 Ga 0.248 0.724 0.004 1
Ga4 Ga 0.248 0.724 0.611 1
Ga5 Ga 0.248 0.724 0.815 1
Ga6 Ga 0.747 0.724 0.140 1
Ga7 Ga 0.748 0.723 0.339 1
Ga8 Ga 0.748 0.724 0.943 1
Sn1 Sn 0.748 0.723 0.538 1
Sn2 Sn 0.748 0.724 0.741 1
Sb1 Sb 0.000 0.545 0.254 1
Sb2 Sb 0.004 0.535 0.651 1
Sb3 Sb 0.004 0.536 0.451 1
Sb4 Sb 0.492 0.912 0.488 1
Sb5 Sb 0.492 0.913 0.689 1
Sb6 Sb 0.497 0.902 0.289 1
Sb7 Sb 0.498 0.902 0.089 1
Sb8 Sb 0.501 0.223 0.022 1
Sb9 Sb 0.501 0.225 0.823 1
Sb10 Sb 0.501 0.906 0.890 1
Sb11 Sb 0.503 0.223 0.221 1
Sb12 Sb 0.503 0.225 0.622 1
Sb13 Sb 0.504 0.223 0.420 1
Sb14 Sb 0.991 0.222 0.521 1
Sb15 Sb 0.993 0.224 0.321 1
Sb16 Sb 0.994 0.223 0.722 1
Sb17 Sb 0.994 0.224 0.122 1
Sb18 Sb 0.995 0.224 0.922 1
Sb19 Sb 0.996 0.541 0.853 1
Sb20 Sb 0.999 0.545 0.053 1
```

Properties
DFT formation energy: -76.67 kJ/mol of atoms
Total DFT energy (no corrections): -4.803 eV per atom


Crystalline La9Ga5Se21 at its relaxed geometry, computed with PBE-GGA.

CIF file:
```
data_La9Ga5Se21
_symmetry_space_group_name_H-M 'P 1'
_symmetry_Int_Tables_number 1
_cell_length_a 12.448
_cell_length_b 12.448
_cell_length_c 12.448
_cell_angle_alpha 96.44
_cell_angle_beta 96.44
_cell_angle_gamma 96.44
loop_
_symmetry_equiv_pos_as_xyz
'x,y,z'
loop_
_atom_site_label
_atom_site_type_symbol
_atom_site_fract_x
_atom_site_fract_y
_atom_site_fract_z
_atom_site_occupancy
La1 La 0.032 0.170 0.799 1
La2 La 0.035 0.800 0.665 1
La3 La 0.131 0.365 0.501 1
La4 La 0.138 0.999 0.372 1
La5 La 0.170 0.799 0.032 1
La6 La 0.330 0.701 0.468 1
La7 La 0.365 0.501 0.131 1
La8 La 0.372 0.138 0.999 1
La9 La 0.467 0.702 0.840 1
La10 La 0.468 0.330 0.701 1
La11 La 0.501 0.131 0.365 1
La12 La 0.665 0.035 0.800 1
La13 La 0.701 0.468 0.330 1
La14 La 0.702 0.840 0.467 1
La15 La 0.799 0.032 0.170 1
La16 La 0.800 0.665 0.035 1
La17 La 0.840 0.467 0.702 1
La18 La 0.999 0.372 0.138 1
Ga1 Ga 0.073 0.073 0.073 1
Ga2 Ga 0.140 0.473 0.806 1
Ga3 Ga 0.269 0.269 0.269 1
Ga4 Ga 0.306 0.973 0.640 1
Ga5 Ga 0.473 0.806 0.140 1
Ga6 Ga 0.572 0.572 0.572 1
Ga7 Ga 0.640 0.306 0.973 1
Ga8 Ga 0.769 0.769 0.769 1
Ga9 Ga 0.806 0.140 0.473 1
Ga10 Ga 0.973 0.640 0.306 1
Se1 Se 0.029 0.614 0.124 1
Se2 Se 0.051 0.196 0.281 1
== Here the entry continues ==

Drs. Kraig Peel and Mark Enns are associate professors of animal science at Colorado State University. Ana Hernandez is a graduate student at CSU